### File
=====
1.
TlSbIO2: computed powder diffractogram (Cu Kα (λ = 1.5418 Å)), based on a GGA-PBE-relaxed structure.

Structure:
Lattice parameters (Å, degrees): 7.6213 7.6213 5.5034 90.00 90.00 133.43
Positions (direct):
Tl (0.1069, 0.8931, 0.7500)
Tl (0.8931, 0.1069, 0.2500)
Sb (0.4338, 0.5662, 0.7500)
Sb (0.5662, 0.4338, 0.2500)
I (0.2344, 0.7656, 0.2500)
I (0.7656, 0.2344, 0.7500)
O (0.2876, 0.2876, 0.0000)
O (0.2876, 0.2876, 0.5000)
O (0.7124, 0.7124, 0.0000)
O (0.7124, 0.7124, 0.5000)

Peak list (8 most intense, 2θ from 10° to 80°, most intense first)
2θ/deg  I/Imax
29.14  100
52.30  30
29.65  24
44.60  20
32.54  18
55.98  16
24.12  13
71.39  11

2.
RbNa2SrCd: computed powder diffractogram (Cu Kα (λ = 1.5418 Å)), based on a GGA-PBE-relaxed structure.

Structure:
Lattice parameters (Å, degrees): 6.2361 6.2361 6.4193 90.00 90.00 90.00
Positions (direct):
Rb (0.0000, 0.0000, 0.0000)
Na (0.0000, 0.5000, 0.5000)
Na (0.5000, 0.0000, 0.5000)
Sr (0.5000, 0.5000, 0.0000)
Cd (0.5000, 0.5000, 0.5000)

Peak list (8 most intense, 2θ from 10° to 80°, most intense first)
2θ/deg  I/Imax
20.14  100
28.63  84
40.33  65
14.20  52
34.56  51
19.85  46
27.80  45
50.20  34

3.
Ca5MgZn4: computed powder diffractogram (Cu Kα (λ = 1.5418 Å)), based on a GGA-PBE-relaxed structure.

Structure:
Lattice parameters (Å, degrees): 3.6832 3.6832 19.1871 90.00 90.00 90.00
Positions (direct):
Ca (0.0000, 0.0000, 0.0000)
Ca (0.0000, 0.0000, 0.1916)
Ca (0.0000, 0.0000, 0.3821)
Ca (0.0000, 0.0000, 0.6179)
Ca (0.0000, 0.0000, 0.8084)
Mg (0.5000, 0.5000, 0.5000)
Zn (0.5000, 0.5000, 0.0959)
Zn (0.5000, 0.5000, 0.2893)
Zn (0.5000, 0.5000, 0.7107)
Zn (0.5000, 0.5000, 0.9041)

Peak list (8 most intense, 2θ from 10° to 80°, most intense first)
2θ/deg  I/Imax
33.73  100
34.44  52
61.24  32
49.49  18
59.87  13
37.24  11
70.93  7
47.38  7

4.
Mg2InAgBr6: computed powder diffractogram (Cu Kα (λ = 1.5418 Å)), based on a GGA-PBE-relaxed structure.

Structure:
Lattice parameters (Å, degrees): 10.0711 10.0711 7.7936 104.27 104.27 88.68
Positions (direct):
Mg (0.1155, 0.2647, 0.2012)
Mg (0.2647, 0.1155, 0.7012)
Mg (0.7353, 0.8845, 0.2988)
Mg (0.8845, 0.7353, 0.7988)
In (0.3852, 0.6148, 0.7500)
In (0.6148, 0.3852, 0.2500)
Ag (0.2700, 0.7300, 0.2500)
Ag (0.7300, 0.2700, 0.7500)
Br (0.0695, 0.1877, 0.4721)
Br (0.1088, 0.6355, 0.9233)
Br (0.1877, 0.0695, 0.9721)
Br (0.3025, 0.4501, 0.3167)
Br (0.3645, 0.8912, 0.5767)
Br (0.4501, 0.3025, 0.8167)
Br (0.5499, 0.6975, 0.1833)
Br (0.6355, 0.1088, 0.4233)
Br (0.6975, 0.5499, 0.6833)
Br (0.8123, 0.9305, 0.0279)
Br (0.8912, 0.3645, 0.0767)
Br (0.9305, 0.8123, 0.5279)

Peak list (8 most intense, 2θ from 10° to 80°, most intense first)
2θ/deg  I/Imax
27.11  100
22.24  57
28.07  55
43.95  40
13.09  30
38.37  24
29.14  23
26.34  23

* * * * *

For Li2DyHf2S6, a DFT-relaxed cell (GGA-PBE, Alexandria) gives the simulated X-ray diffraction stick pattern in this record (Cu Ka).
No peak broadening, texture or thermal motion is included.

Crystal structure
a b c (Å): 6.449 6.449 6.569
angles (deg): 99.38 99.38 120.46
Element x y z (fractional)
1 Li 0.166 0.834 0.000
2 Li 0.834 0.166 0.000
3 Dy 0.000 0.000 0.500
4 Hf 0.335 0.665 0.500
5 Hf 0.665 0.335 0.500
6 S 0.077 0.431 0.742
7 S 0.268 0.268 0.255
8 S 0.431 0.077 0.742
9 S 0.569 0.923 0.258
10 S 0.732 0.732 0.745
11 S 0.923 0.569 0.258

Largest 10 diffraction maxima, in order of falling intensity, 2θ = 15–90°:
d = 2.646 Å, I 100; d = 3.176 Å, I 52; d = 3.158 Å, I 26; d = 2.050 Å, I 25; d = 2.440 Å, I 25; d = 1.888 Å, I 24; d = 1.853 Å, I 22; d = 1.776 Å, I 21; d = 3.048 Å, I 19; d = 2.424 Å, I 12
=====
### Wanted
The reader should say how many lines of the listing further up hold the word "Crystal", as a bare number.
### Worked solution
1